Human cannon balls and lion tamers were once part and parcel of the old-fashioned circus; alas such performing artists at Barnum & Barnum are now extinct. More conventional professions also face extinction when the pace of change is greater than the professional development activities of the incumbents.

Technology is massively altering the accounting and bookkeeping profession; it’s direct impact being to expand the entire ecosystem. This places enormous demands on professionals to take off their cannon ball helmets or tamer whips and immerse themselves into up-skilling and future-proofing their services. What does this look like?

Enhancing relationships with clients and accountants

As a bookkeeper you are in the perfect position to foster communication between your clients and their accountants. The result is an opportunity missed where bookkeepers could generate additional fees, help their clients minimise their compliance spend, and cement lasting and often lucrative relationships with accountants.

It is our view that for too long the accounting profession has laboured on with inherent inefficient work practices, For example, the taking of a business customer client’s ledger’s, creating another set of general ledgers and then (often in paper-based form) giving them back to the client or the bookkeeper. With cloud-based (a distinct from desk-top based) platforms this is nothing short of time wastage.

(Data records, as found in the file)
____________
Record 1
Structure and calculated XRD peak list of YbHfF7 (a crystal structure in Alexandria, relaxed with GGA-PBE; Cu Kα (weighted mean of Kα1 and Kα2)).

Crystal structure
```
YbHfF7
1.0
6.0368 0.0000 0.0000
0.0000 5.8422 0.0000
-1.8333 0.0000 8.0917
Yb Hf F
2 2 14
Direct
0.1556 0.0000 0.1915 Yb
0.8444 0.5000 0.8085 Yb
0.3178 0.0015 0.7253 Hf
0.6822 0.5015 0.2747 Hf
0.0093 0.7401 0.0036 F
0.0846 0.7519 0.7083 F
0.0889 0.2559 0.7083 F
0.2706 0.0006 0.4789 F
0.3613 0.0027 0.9718 F
0.4323 0.2678 0.2565 F
0.4347 0.7371 0.2590 F
0.5653 0.2371 0.7410 F
0.5677 0.7678 0.7435 F
0.6387 0.5027 0.0282 F
0.7294 0.5006 0.5211 F
0.9111 0.7559 0.2917 F
0.9154 0.2519 0.2917 F
0.9907 0.2401 0.9964 F
```

Most intense lines, 5° ≤ 2θ ≤ 70°, by intensity:
d_spacing, Rel. int.
4.147, 100
4.046, 40
3.151, 32
3.477, 20
3.948, 17
2.088, 16
2.921, 15
1.902, 15
1.937, 13
3.326, 12

Record 2
Structure and calculated XRD peak list of MgGe2Pt6 (a crystal structure in Alexandria, relaxed with GGA-PBE; Cu Kα (weighted mean of Kα1 and Kα2)).

Crystal structure
```
MgGe2Pt6
1.0
3.4966 0.0000 0.0000
0.0000 5.8510 3.6414
0.0000 -5.8510 3.6414
Mg Ge Pt
1 2 6
Direct
0.0000 0.0000 0.0000 Mg
0.5000 0.5838 0.8600 Ge
0.5000 0.8600 0.5838 Ge
0.0000 0.1688 0.5341 Pt
0.0000 0.5341 0.1688 Pt
0.0000 0.5997 0.5997 Pt
0.5000 0.2324 0.8744 Pt
0.5000 0.2928 0.2928 Pt
0.5000 0.8744 0.2324 Pt
```

Most intense lines, 5° ≤ 2θ ≤ 70°, by intensity:
d_spacing, Rel. int.
2.316, 100
2.452, 96
2.061, 45
3.044, 34
6.183, 34
1.950, 28
1.879, 28
1.748, 27
3.439, 27
2.377, 20

Record 3
Structure and calculated XRD peak list of PmNd6Tl4 (a crystal structure in Alexandria, relaxed with GGA-PBE; Cu Kα (weighted mean of Kα1 and Kα2)).

Crystal structure
```
PmNd6Tl4
1.0
-4.0083 4.0083 6.0393
4.0083 -4.0083 6.0393
4.0083 4.0083 -6.0393
Pm Nd Tl
1 6 4
Direct
0.0000 0.0000 0.0000 Pm
0.0000 0.5000 0.5000 Nd
0.0964 0.4724 0.0000 Nd
0.4724 0.0964 0.0000 Nd
0.5000 0.0000 0.5000 Nd
0.5276 0.5276 0.6240 Nd
0.9036 0.9036 0.3760 Nd
0.2649 0.2649 0.6676 Tl
0.4027 0.7351 0.0000 Tl
0.5973 0.5973 0.3324 Tl
0.7351 0.4027 0.0000 Tl
```

Most intense lines, 5° ≤ 2θ ≤ 70°, by intensity:
d_spacing, Rel. int.
2.677, 100
2.665, 60
2.609, 58
6.679, 39
1.751, 38
3.340, 36
3.437, 36
2.834, 32
2.067, 31
2.535, 31

* * * * *

Starting from a crystal structure in Alexandria, relaxed with PBE+U, the powder diffractogram of MgVFeP4O14 was simulated for Cu Kα.

Most intense lines, 2θ from 5° to 70°, by angle:
- 5.279 Å, I 100
- 5.222 Å, I 58
- 4.081 Å, I 27
- 3.953 Å, I 18
- 3.500 Å, I 14
- 3.267 Å, I 14
- 3.170 Å, I 34
- 3.126 Å, I 52
- 3.052 Å, I 32
- 3.008 Å, I 41

Structure:
```
data_MgVFeP4O14
_chemical_formula_sum 'Mg1 V1 Fe1 P4 O14'
_space_group_name_H-M_alt 'P 1'
_space_group_IT_number 1
_cell_length_a 5.037
_cell_length_b 7.116
_cell_length_c 8.231
_cell_angle_alpha 89.85
_cell_angle_beta 87.33
_cell_angle_gamma 73.51
loop_
_space_group_symop_operation_xyz
'x,y,z'
loop_
_atom_site_label
_atom_site_type_symbol
_atom_site_fract_x
____________
(Here the page continues)

The journey from bookkeeping ‘technician’ to ‘trusted advisor’

As a bookkeeper you are often much closer to the business customer in real time, communications terms and hence can influence better outcomes. Be confident that you are providing your client’s accountant with everything they need to do your client’s year end work efficiently with full use of contemporary, technology-enabled solutions. You may find that your relationship improves and you may generate referrals because you are so effective at providing these essential added value services.

What should a journey a journey look like for business?

• First step: ‘getting to know you’. The owner must see that the bookkeeper is a real person – who can be trusted; in effect this is about standing in the shoes of the small business client
• Ask: What does the business do and what makes it different. Owners love to talk about this and it’s a critical part of building trust
• Find out the numbers: it’s the big picture. As an idea ask “What are the three numbers that you (the owner) want to know each week?”
• Status: how are the books currently kept; who does what and is the owner happy with this.
• Go away and think and come back with a proposal that positions you as a potential ‘trusted advisor’.